
Influence of employee motivation on the quality of production

  Influence of employee motivation on the quality of production   Motivation is a set of processes concerned with the workforce that energizes the behavior and directs it towards achieving someone's goal (Baron, 1983). In the organizational aspects, Motivation plays a vital role in ensuring organizational success.  According to Armstrong 2007, motivated employers become more proactive and believe that they can accomplish the objective.   The managers need to understand what actions exactly encourage their employees to motivate (Burton, 2012) . Motivational factors differ from person to person, and it is essential to know how they are motivated to realize organizational goals (Rabideau, 2005). An organizations performance and developments   I work for a leading garment factory we are committed to sustainability. They are the remarkable transformation in the apparel industry by producing innovative products to meet consumers’ lifestyles.   ...

Benefits of Employee Motivation

  Benefits of Employee Motivation     Undoubtedly, All motivation theories explicit one common fact. Motivation satisfies the needs of individuals as well as the group. Employees need to be motivated to increase their work performance. Once the employer can satisfy their needs, they can enhance productivity ( Burton, 2012) . According to Herzberg theory , employees are most satisfied with the work, which is challenging and seem interesting where they will get motivated towards the work. The performance will be poor if the employee is not satisfied and happy. The employee’s motivation enthusiastic, energetic behavior towards task fulfillment plays a key role in the success of an organization (Cheng, 1995).   Improve level of efficiency of the employee The level of subordinates or an employee does not depend upon their qualifications and abilities. To get the best spirit of the work, the gap between ability and willingness has to be filled ( Daschler, ...

Effective ways to employee motivation in an Organization

  Effective ways to employee motivation in an Organization   There are two main methods of motivating employees: monetary and non-monetary. Monetary rewards play a critical role in job performance and employee motivation. The financial factors are bonuses, allowances, insurance, incentives, promotions, and job security fall under the category of financial rewards. Based on the employee's achievement, an organization reward employee. It will cause to create energy within the employee but not long-lasting for a shorter period (Eshun & Duah, 2011)   These rewards address more intrinsic motivational aspects. Creating a comfortable workplace through all these means is helpful to make employees committed to the work honestly. According to Thomas (2009), intrinsic rewards recently spread in companies with the management commitment, contribution, and support that enable the employees to engage in the work with positive thinking and mentality. Those non-financial rewar...

Herzberg – Two factor theory

  Herzberg – Two-factor theory   Herzberg defined two sets of factors in deciding employees working attitudes and level of performance, named Motivation & Hygiene Factors (Robbins, 2009).   Figure 1.3 Herzberg’s Hygiene and Motivational Factors ( Source: Herzberg 1987)   The two-factor theory introduced more points to measure how individuals are motivated in the workplace. The two factors mainly described that the lower-level needs of individuals would not motivate them but prevent them from being dissatisfied. To motivate employees. Organizations should focus on supplying motivation factors (Robbins, 2009).   Responses about good feelings are generally related to job content motivators, whereas responses about bad feelings are associated with hygiene factors. Motivational factors are achievement, recognition, responsibility, and advancement. Hygiene factors are extrinsic to the job, such as interpersonal relationships, salary, supervisio...

McClelland’s Need Theory

  McClelland’s Need Theory   McClelland’s Need Theory attempts to explain how the needs for achievement, power, and affiliation affect human motivation and the actions of the people. McClelland's theory is primarily concerns that some people are driven success through seeking “personal achievement rather than reward themselves (Saif et al., 2012, p.1387). McClelland's theory can help to identify the dominant motivators of people in the team of the organization ( A. D2, 2013) . An organization can use this information to influence how the team set goals and provide feedback and reward team members. There are instances when the manager sets a target for the team, one of the team members always takes the charge of the group (Kidwell, 2011) . The team member is likely primarily driven by power. HR professionals might face another team member who never speaks during the meeting. They always agree with the group's decision and work hard to avoid conflicts. This person i...

Inserted here: data records =
********
Diffraction record for LiY2F7. The PXRD pattern is calculated, not measured: it uses a crystal structure in Alexandria, relaxed with PBE and copper Kα.
Lines closer than 0.1° are merged.

Structural model:
```
data_LiY2F7
_chemical_formula_sum 'Li3 Y6 F21'
_symmetry_space_group_name_H-M 'R -3 m'
_symmetry_Int_Tables_number 166
_symmetry_space_group_name_Hall '-R 3 2"'
_cell_length_a 3.9628
_cell_length_b 3.9628
_cell_length_c 30.7028
_cell_angle_alpha 90.00
_cell_angle_beta 90.00
_cell_angle_gamma 120.00
loop_
_atom_site_label
_atom_site_type_symbol
_atom_site_fract_x
_atom_site_fract_y
_atom_site_fract_z
Li1 Li 0.0000 0.0000 0.0000
Y1 Y 0.0000 0.0000 0.4279
F1 F 0.0000 0.0000 0.0757
F2 F 0.0000 0.0000 0.2232
F3 F 0.0000 0.0000 0.3585
F4 F 0.0000 0.0000 0.5000
```

The 8 most intense peaks (2θ = 5–70°), by angle:
d 5.117, 2θ = 17.3°, I 92, hkl 0 0 6
d 3.411, 2θ = 26.1°, I 100, hkl 1 0 1
d 3.349, 2θ = 26.6°, I 40, hkl 0 1 2
d 2.996, 2θ = 29.8°, I 29, hkl 0 1 5
d 2.558, 2θ = 35.1°, I 36, hkl 0 0 12
d 1.981, 2θ = 45.8°, I 68, hkl 1 1 0
d 1.848, 2θ = 49.3°, I 82, hkl 0 1 14
d 1.713, 2θ = 53.5°, I 23, hkl 0 2 1

~~~~~

For MnCrNi4Sn2, DFT lattice parameters and positions (PBE) gives the calculated powder diffraction line list in this record (copper Kα).

Structure:
a = 4.2943 Å, b = 4.2943 Å, c = 21.0177 Å
α = 90.00°, β = 90.00°, γ = 120.00°
Space group R-3m (No. 166, hexagonal axes)
One atom of each set of equivalent atoms:
1 Mn 0.0000 0.0000 0.0000 (multiplicity 3)
2 Cr 0.0000 0.0000 0.5000 (multiplicity 3)
3 Ni 0.0000 0.0000 0.1247 (multiplicity 6)
4 Ni 0.0000 0.0000 0.3745 (multiplicity 6)
5 Sn 0.0000 0.0000 0.2496 (multiplicity 6)

Principal peaks in the range 2θ = 10–80°, in order of rising 2θ:
| two_theta | Rel. int. | hkl |
| --- | --- | --- |
| 25.4 | 11 | 0 1 2 |
| 29.4 | 3 | 1 0 4 |
| 42.1 | 100 | 1 1 0 |
| 49.8 | 7 | 1 0 10 |
| 61.1 | 16 | 2 0 8 |
| 67.2 | 3 | 0 2 10 |
| 69.2 | 1 | 2 1 4 |
| 76.9 | 32 | 3 0 0 |

---

For MnCrP2, DFT lattice parameters and positions (PBE) gives the calculated powder diffraction line list in this record (copper Kα).

Structure:
a = 3.0105 Å, b = 5.9530 Å, c = 5.3104 Å
α = 90.00°, β = 90.00°, γ = 90.00°
Space group Pmc2_1 (No. 26)
One atom of each set of equivalent atoms:
1 Mn 0.0000 0.0583 0.0000 (multiplicity 2)
2 Cr 0.5000 0.4491 0.9892 (multiplicity 2)
3 P 0.0000 0.3068 0.6784 (multiplicity 2)
4 P 0.5000 0.1820 0.3064 (multiplicity 2)

Principal peaks in the range 2θ = 10–80°, in order of rising 2θ:
| two_theta | Rel. int. | hkl |
| --- | --- | --- |
| 33.4 | 69 | 1 1 0 |
| 33.8 | 24 | 0 0 2 |
| 37.5 | 39 | 1 1 1 |
| 45.8 | 54 | 0 2 2 |
| 46.2 | 60 | 1 2 1 |
| 48.2 | 100 | 1 1 2 |
| 49.0 | 35 | 0 3 1 |
| 55.5 | 31 | 1 3 0 |

---

For Mn3Cr3P2, DFT lattice parameters and positions (PBE) gives the calculated powder diffraction line list in this record (copper Kα).

Structure:
a = 12.7282 Å, b = 4.4269 Å, c = 8.9961 Å
α = 90.00°, β = 134.79°, γ = 90.00°
Space group C2 (No. 5)
********

Alderfer ERG Theory

  Alderfer –ERG Theory   According to Clayton Alderfer’s theory, suggested that needs could be classified into three categories. These three types of needs are existence, relatedness, and growth.   Existence Needs : These needs are similar to Maslow’s physiological needs and safety needs category. Safety needs mainly refer to prevention from fear, threat, danger, and tension when physiological needs refer to sleep and exercise. (Hwang, 2011)   Relatedness Needs : It has a comparable aspect of Maslow’s Belongingness and esteem needs. This need comprises security, belonging, and respect. The security pertaining to a mutual trust of humanity. The belonging pertaining to all forms of suffering such as loneliness, isolation, and distance. This relates to interpersonal relationships. Respect simply means feeling respect from others.   (Hwang, 2011)   Growth Needs : This need involves self-esteem and self-actualization. This is related to th...

Maslow’s Hierarchy of Needs

  Motivation Theory Maslow’s Hierarchy of Needs Maslow is a good starting point to start examining the different motivation theories   (Haque et al., 2014, 63). The philosophy of the model was that there are five levels of needs for humans and each level needed to be fulfilled before someone could be motivated by a higher level of needs (Ganta 2014) . Figure 1 is a graphical example of Maslow's Model Maslow used the terms Physiological, Safety, Belongingness,, and Love, Esteem, Self-Actualization, and Self Transcendence needs to describe the pattern that human motivations generally move through. Figure: Maslow’s hierarchy of needs   The pyramid begins from bottom to top. At the bottom of the pyramid are our physiological needs suchas food, water, sleep, and warmth. The safety calls next that include comfort, security, and stability.Moving up the pyramid, we come to social needs, such as a sense of belonging, friendship. Esteem needs include a positive self...